-- Request --
Say how many lines of the rows underneath hold the word "calculated", as a bare number.

-- Listing --
~~~
Structure and calculated powder diffraction line list of Pr2Y2CBr2Cl3 (a crystal structure in OQMD, relaxed with GGA-PBE; λ = 1.5418 Å (Cu Kα)).
Peak positions follow from Bragg's law for the DFT cell and can differ from measured ones.

Peak list (6 most intense, 2θ from 5° to 70°, low angle first)
2θ 10.13, rel. 39; 2θ 11.08, rel. 75; 2θ 30.71, rel. 44; 2θ 31.75, rel. 100; 2θ 33.69, rel. 35; 2θ 44.76, rel. 55

Cell and atoms:
a b c (Å): 9.182 9.182 8.206
angles (deg): 103.03 103.03 24.38
Fractional coordinates of all 10 atoms:
Pr 0.000 0.000 0.216
Pr 0.000 0.000 0.784
Y 0.362 0.362 0.926
Y 0.638 0.638 0.074
C 0.500 0.500 0.000
Br 0.174 0.174 0.838
Br 0.826 0.826 0.162
Cl 0.165 0.165 0.315
Cl 0.500 0.500 0.500
Cl 0.835 0.835 0.685

Structure and calculated powder diffraction line list of DySCl3 (a crystal structure in OQMD, relaxed with GGA-PBE; λ = 1.5418 Å (Cu Kα)).
Peak positions follow from Bragg's law for the DFT cell and can differ from measured ones.

Peak list (6 most intense, 2θ from 5° to 70°, low angle first)
2θ 9.97, rel. 100; 2θ 16.92, rel. 23; 2θ 17.96, rel. 27; 2θ 18.62, rel. 21; 2θ 27.20, rel. 20; 2θ 31.93, rel. 29

Cell and atoms:
a b c (Å): 6.908 6.908 8.936
angles (deg): 93.46 93.46 118.72
Fractional coordinates of all 10 atoms:
Dy 0.170 0.830 0.000
Dy 0.830 0.170 0.000
S 0.385 0.385 0.546
S 0.615 0.615 0.454
Cl 0.096 0.096 0.832
Cl 0.144 0.521 0.171
Cl 0.479 0.856 0.829
Cl 0.521 0.144 0.171
Cl 0.856 0.479 0.829
Cl 0.904 0.904 0.168

Structure and calculated powder diffraction line list of Mg2ZnCdGe2 (a crystal structure in OQMD, relaxed with GGA-PBE; λ = 1.5418 Å (Cu Kα)).
Peak positions follow from Bragg's law for the DFT cell and can differ from measured ones.

Peak list (6 most intense, 2θ from 5° to 70°, low angle first)
2θ 24.37, rel. 100; 2θ 40.20, rel. 88; 2θ 40.59, rel. 43; 2θ 47.23, rel. 16; 2θ 47.91, rel. 31; 2θ 58.75, rel. 14

Cell and atoms:
a b c (Å): 7.795 4.443 14.804
angles (deg): 90.00 99.13 90.00
Fractional coordinates of all 24 atoms:
Mg 0.000 0.000 0.000
Mg 0.009 0.500 0.490
Mg 0.233 0.000 0.734
Mg 0.245 0.500 0.238
Mg 0.478 0.000 0.479
Mg 0.499 0.500 0.997
Mg 0.742 0.000 0.231
Mg 0.760 0.500 0.736
Zn 0.062 0.500 0.673
Zn 0.063 0.000 0.183
Zn 0.305 0.500 0.421
Zn 0.556 0.500 0.181
Cd 0.306 0.000 0.925
Cd 0.555 0.000 0.672
Cd 0.807 0.000 0.424
Cd 0.811 0.500 0.927
Ge 0.119 0.500 0.855
Ge 0.129 0.000 0.361
Ge 0.357 0.500 0.605
Ge 0.372 0.000 0.120
Ge 0.605 0.500 0.359
Ge 0.620 0.000 0.863
Ge 0.875 0.500 0.122
Ge 0.884 0.000 0.616

Structure and calculated powder diffraction line list of LaDyGa2Pd4 (a crystal structure in OQMD, relaxed with GGA-PBE; λ = 1.5418 Å (Cu Kα)).
Peak positions follow from Bragg's law for the DFT cell and can differ from measured ones.

Peak list (6 most intense, 2θ from 5° to 70°, low angle first)
2θ 23.08, rel. 22; 2θ 30.13, rel. 13; 2θ 37.24, rel. 100; 2θ 40.55, rel. 78; 2θ 56.23, rel. 30; 2θ 64.87, rel. 12

Cell and atoms:
a b c (Å): 4.449 4.449 9.295
angles (deg): 90.00 90.00 120.00
Fractional coordinates of all 8 atoms:
La 0.000 0.000 0.000
Dy 0.667 0.333 0.500
Ga 0.333 0.667 0.259
Ga 0.333 0.667 0.741
Pd 0.000 0.000 0.336
Pd 0.000 0.000 0.664
Pd 0.667 0.333 0.184
Pd 0.667 0.333 0.816

Structure and calculated powder diffraction line list of PuTlAgSeS2 (a crystal structure in OQMD, relaxed with GGA-PBE; λ = 1.5418 Å (Cu Kα)).
Peak positions follow from Bragg's law for the DFT cell and can differ from measured ones.

Peak list (6 most intense, 2θ from 5° to 70°, low angle first)
2θ 12.44, rel. 62; 2θ 23.66, rel. 73; 2θ 25.04, rel. 50; 2θ 27.58, rel. 52; 2θ 31.35, rel. 100; 2θ 34.68, rel. 85

Cell and atoms:
a b c (Å): 8.028 4.082 10.118
angles (deg): 90.00 107.05 90.00
Fractional coordinates of all 12 atoms:
Pu 0.186 0.250 0.145
Pu 0.814 0.750 0.855
Tl 0.249 0.750 0.710
Tl 0.751 0.250 0.290
Ag 0.433 0.750 0.397
Ag 0.567 0.250 0.603
Se 0.228 0.250 0.435
Se 0.772 0.750 0.565
S 0.045 0.250 0.869
S 0.405 0.750 0.142
S 0.595 0.250 0.858
S 0.955 0.750 0.131
~~~

-- Here it is --
5